_Wanted_
Your job: start at the top of the contents further down and write out each line, ending with the one that has "-5.011 0.199".

_File_
An isolated molecule of C15H16N2O3 in a non-equilibrium geometry, computed with ωB97M-V with the def2-TZVPD basis set.

ORCA input file:
```
! wB97M-V def2-TZVPD RIJCOSX def2/J DEFGRID3
* xyz 0 1
O -0.200 -3.187 -0.379
C 0.331 -2.129 -0.104
N 1.659 -1.931 -0.306
C 2.406 -0.750 -0.215
C 3.701 -0.802 0.288
C 4.460 0.353 0.355
C 3.948 1.561 -0.074
C 2.659 1.613 -0.597
O 2.190 2.810 -1.034
C 1.897 0.456 -0.681
C -0.429 -1.013 0.507
N 0.049 -0.299 1.499
O -0.915 0.568 1.869
C -2.003 0.385 1.102
C -1.764 -0.627 0.208
C -2.680 -1.162 -0.833
C -3.281 -0.056 -1.705
C -4.296 0.831 -0.981
C -3.698 1.848 -0.007
C -3.199 1.238 1.307
H 2.177 -2.775 -0.518
H 4.103 -1.743 0.632
H 5.462 0.310 0.753
H 4.525 2.470 -0.023
H 1.285 2.712 -1.354
H 0.906 0.494 -1.115
H -3.488 -1.715 -0.347
H -2.127 -1.870 -1.453
H -2.479 0.566 -2.111
H -3.786 -0.532 -2.548
H -4.854 1.387 -1.739
H -5.011 0.199 -0.449
H -4.469 2.582 0.239
H -2.879 2.382 -0.493
H -3.999 0.636 1.749
H -2.938 2.028 2.013
*
```

_Outcome_
An isolated molecule of C15H16N2O3 in a non-equilibrium geometry, computed with ωB97M-V with the def2-TZVPD basis set.

ORCA input file:
```
! wB97M-V def2-TZVPD RIJCOSX def2/J DEFGRID3
* xyz 0 1
O -0.200 -3.187 -0.379
C 0.331 -2.129 -0.104
N 1.659 -1.931 -0.306
C 2.406 -0.750 -0.215
C 3.701 -0.802 0.288
C 4.460 0.353 0.355
C 3.948 1.561 -0.074
C 2.659 1.613 -0.597
O 2.190 2.810 -1.034
C 1.897 0.456 -0.681
C -0.429 -1.013 0.507
N 0.049 -0.299 1.499
O -0.915 0.568 1.869
C -2.003 0.385 1.102
C -1.764 -0.627 0.208
C -2.680 -1.162 -0.833
C -3.281 -0.056 -1.705
C -4.296 0.831 -0.981
C -3.698 1.848 -0.007
C -3.199 1.238 1.307
H 2.177 -2.775 -0.518
H 4.103 -1.743 0.632
H 5.462 0.310 0.753
H 4.525 2.470 -0.023
H 1.285 2.712 -1.354
H 0.906 0.494 -1.115
H -3.488 -1.715 -0.347
H -2.127 -1.870 -1.453
H -2.479 0.566 -2.111
H -3.786 -0.532 -2.548
H -4.854 1.387 -1.739
H -5.011 0.199 -0.449